Wednesday, March 30, 2011


At times everyone feels blue. We all have days when we do not want to get out of bed or cannot shake the feeling of sadness. Depression, however, goes beyond this.

What is Depression?

Depression is an illness which is common but often misunderstood. It can occur without people realizing that they have it. Many people ignore the signs of depression, and some cope with it by abusing alcohol and/or drugs. Many perceive depression as an illness that carries with it such fear and shame that it prevents them from asking for help. It is not a personal weakness; it is an illness that can be for the most part successfully treated.

What Causes Depression?

No one knows exactly what causes depression. Several factors, alone or combined, may be at work. For some, an obvious stress may bring on depression but for others, depression may occur without an apparent reason. Researchers have also found that some people with depression have a chemical imbalance.

Signs of Depression
Depression can occur without people knowing that they have it. Many people ignore the signs of depression. When a depressed mood persists for several weeks, deepens and eventually starts interfering with work and social life it becomes an illness, or clinical depression.

Some signs of Depression are:

·         Disturbed thinking
·         Feelings of sadness or irritability
·         Loss of interest or pleasure in activates once enjoyed
·         Changes in weight or appetite
·         Changes in sleeping patterns
·         Feelings of guilt, hopelessness or worthlessness
·         Inability to concentrate, remember things or make decisions
·         Fatigue or loss of energy – withdrawal
·         Restlessness or decreased activity noticed by others
·         Complaints or physical aches and pains for which no medical causes can be found
·         Thoughts of suicide or death
·         Feeling overwhelmed
·         Depression, if not treated, can last many months or years

P/S: Always check yourself and people around you for the sign of depression. Get professional help if you sense that you’re feeling abnormal depressed. Prolong depression without treatment can be extremely harmful.

Thursday, March 17, 2011

(Unrelated to this article: data records)
____________
Below is a geometry-optimized Ac3Mg7Pd4 structure, with properties calculated at the PBE level.

Results
As for the symmetry: No. 12. The energy of formation is -0.52 eV/atom. Its total energy is -3.682 eV per atom.

POSCAR file:
```
Ac3Mg7Pd4
1.0
-3.5303 -1.9327 1.9168
-2.2414 -6.4616 -5.4594
3.5344 -8.1707 3.4547
Mg Pd Ac
7 4 3
direct
0.8335 0.4030 0.9300
0.3219 0.8460 0.5102
0.0000 0.0000 0.0000
0.4870 0.2287 0.7972
0.6781 0.1540 0.4898
0.1665 0.5970 0.0700
0.5130 0.7713 0.2028
0.8900 0.8963 0.3237
0.1100 0.1037 0.6763
0.3383 0.5596 0.7638
0.6617 0.4404 0.2362
0.3046 0.1813 0.2095
0.0000 0.5000 0.5000
0.6954 0.8187 0.7905
```



Below is a geometry-optimized HgSb2As structure, with properties calculated at the PBE level.

Results
As for the symmetry: No. 2. Its total energy is -3.244 eV per atom. Its relative energy among the computed polymorphs is 24 meV/atom. The raw formation energy is 0.221 eV per formula unit.

POSCAR file:
```
HgSb2As
1.0
4.5432 0.0092 0.0101
0.0977 7.1964 0.0265
0.1027 2.7172 6.9048
As Sb Hg
2 4 2
direct
0.8151 0.1181 0.3871
0.1849 0.8819 0.6129
0.2102 0.3622 0.1336
0.7504 0.3784 0.6154
0.7898 0.6378 0.8664
0.2496 0.6216 0.3846
0.2515 0.1055 0.8691
0.7485 0.8945 0.1309
```



Below is a geometry-optimized YCrCl2 structure, with properties calculated at the PBE level.

Results
As for the symmetry: No. 71. Its total energy is -5.655 eV per atom. Its relative energy among the computed polymorphs is 109 meV/atom. The raw formation energy is -2.840 eV per formula unit.

POSCAR file:
```
YCrCl2
1.0
7.1914 0.2183 -0.0084
4.0242 5.9640 0.0084
-5.0110 -4.1739 3.0385
Y Cr Cl
1 1 2
direct
0.2500 0.7500 0.5000
0.7500 0.2500 0.5000
0.0993 0.0993 0.0000
0.4007 0.4007 0.0000
```



Below is a geometry-optimized LiHgAu2 structure, with properties calculated at the PBE level.

Results
As for the symmetry: No. 12. The energy of formation is -0.23 eV/atom. Its total energy is -2.424 eV per atom.

POSCAR file:
```
LiHgAu2
1.0
-2.9724 -4.1723 -0.1245
-0.1510 -5.1110 0.3363
-0.9996 -0.6005 4.8962
Au Hg Li
2 1 1
direct
0.4856 0.4856 0.5162
0.0144 0.0144 0.9838
0.2500 0.2500 0.2500
0.7500 0.7500 0.7500
```



Below is a geometry-optimized Mg3Ga2Cu9Si structure, with properties calculated at the PBE level.

Results
As for the symmetry: No. 164. Its total energy is -3.311 eV per atom. The raw formation energy is 3.465 eV per formula unit.

POSCAR file:
```
Mg3Ga2Cu9Si
1.0
6.3628 0.0000 0.0000
-3.1814 5.5103 0.0000
____________

Spiritual Health

Where are you in your spiritual life? Take a moment to reflect… Do you feel a sense of worth, hope, purpose, commitment or peace? Do you have a positive outlook on life? Or do you experience feelings of emptiness, anxiety, hopelessness, apathy or conflict? These may be signs of spiritual poverty in your life and may be the reason for unhappiness or dissatisfaction.

Spirituality is unique to each individual. Our spirit usually refers to the deepest part of us, the part that let us make meaning of our world. Our spirit provides us with the revealing sense of who we are, why we are here and what is our purpose for living. It is that innermost part of us that allows gaining strength and hope.

Spiritual wellness is always something that we do not think much of, yet its impact on our life is unavoidable. The basis of spirituality is discovering a sense of meaningfulness in life and coming to know that we have a purpose to fulfil. For some, spirituality may be connected with traditional religions such as Christianity, Hinduism or Buddhism. For others, it may mean growing in your personal relationships with others, or through being at peace with nature.

Many wellness behaviours can benefit our spiritual health. Such behaviours include feeling connected with others, feeling as part of a community, volunteering, having an optimistic attitude, contributing to society and our own self with love and care.

Improving Our Spiritual Health

Here are some ways to help improve your spiritual health:
  • Be quiet. Take time for yourself every day, even if it's just the moment before you go to sleep, or when you're driving home.
  • Be open. Spiritual experiences can happen anywhere at any time.
  • Practice being non-judgmental and having an open mind
  • Be receptive to pain or times of sorrow. It is often in these times when we discover how spirituality can help us cope.
  • Practice forgiveness
  • Pray, meditate or worship
  • Live joyfully
  • Allow yourself to believe in things that aren't easily explainable

Sunday, March 6, 2011

Love Unconditionally

When we try too hard to categorize love to make it fit in some “proper” space, it finds other ways to issue forth, tearing away the true fabric of our lives. We cannot force someone to change their emotions for our own benefit. All we will get from that is attempted repression and future resentment. So what I’m saying is: Allow yourself to experience what it is to love someone without all the demands and conditions. Ironically, to love without condition is what all of us says we want but little do we realize the sacrifice that actually entails. Technically it means freeing your love ones to live and love as he or she chooses.
As a couple in loves, we can have a real raw love affair–coming together to dissolve in the molten flow of our love heat. Then together go on to love others especially the needy. Indeed, if you let convention go and love without restriction, you might be very surprised where it takes you in the end. Please enjoy and feel the love. Never tempt to force love...